Posted by Nantucket1931 July 27, 2024 3:15 pm | #1 |
I have been with my partner 11 years. Im female he is male.We were early twenties when we met. Our sex life was very normal for the first few years, aside from difficulty maintaining elections ( however I thought this was due to being inexperienced and possibly nervous). We stopped having sex as much due to my chronic illness. It didn't seem to affect him at first, however over the years he would mention how he watches too much porn and we don't have sex enough. He would always seem very stressed by how "unhealthy" he thought porn was. I'm not sure what kind and really how often he was using it. I always assumed the shame came from religious background.
In the last year things have really started to change. He started taking testosterone due to depression and low mood/libido. Keep in mind I wasn't wanting sex due to health, however when we would he wouldn't seem to have any issues performing. I was against testosterone however eventually accepted it.
Second thing I found one day in the garbage was cialis ( election medication). We hadn't really been having sex. He told me he was using it as pre workout.
He was always at the gym. Almost 7 days a week. On weekends at the same time for 2 sometimes three hours. He would not change his routine even though I would ask him to hang out with me in the morning.he would get very annoyed If he had to miss it.
He started showering BEFORe the gym and from what I can tell shaving his balls. Always getting very defensive when I ask him about it.
I know he really likes texting and talking to a few guys from his gym. He really only sees them and not his long time friends. He's always talking about men. Never women. He talks about his gym friends with his family even and he knows alot about a couple of them.
He's always giddy texting one of them.
He started acting distant to me while still checking all the boxes. I feel he no longer cares about my opinion. He's so self obsessed and focused only on his image now.i feel he resents me. He says he can't be himself with me, That I don't understand him. He talks occasionally of a crisis and a void but claims it's to do with work. I asked him a couple questions relating to the gym guys and his response was " omg do you think I'm gay" I said I dont know. He said " he's super straight". He then never brought up the convo again which was suspicious.
Anyways are these actually red flags ?
Posted by Daryl July 27, 2024 7:53 pm | #2 |
Attached: calculated molecules =
........
No. 1
The following is a quantum chemistry calculation of one molecule with the formula C4H10N2O2 at a distorted geometry, from the OMol25 dataset.

XYZ file:
```
18
Properties=species:S:1:pos:R:3:forces:R:3
N -1.803 2.295 0.997 0.7 -1.0 -1.9
C -1.895 1.156 0.012 2.2 2.3 1.0
C -1.824 -0.225 0.643 -2.0 -0.6 -2.5
N -0.710 -0.899 -0.048 -0.4 0.6 -0.1
C 0.574 -0.542 0.436 2.0 -1.3 2.6
C 1.813 -0.660 -0.417 0.2 -0.7 -1.2
O 2.914 -0.771 0.039 -0.1 0.4 0.4
O 1.690 -0.799 -1.755 -0.1 0.2 -0.5
H -2.077 3.145 0.495 -0.2 -0.4 1.3
H -2.170 2.052 1.890 -0.8 0.6 0.3
H -1.005 1.302 -0.636 -0.4 -0.4 0.3
H -2.695 1.341 -0.644 -1.5 -0.3 -0.7
H -1.786 -0.111 1.726 0.4 -0.5 0.1
H -2.843 -0.723 0.343 2.1 0.4 0.9
H -0.800 -1.828 -0.422 -0.2 -0.1 0.6
H 0.673 0.451 0.911 -0.7 -0.2 -0.4
H 0.953 -1.243 1.285 -0.8 1.0 -0.8
H 0.814 -0.616 -2.120 -0.2 0.0 0.5
```
Forces are in eV/Å.

HOMO level in eV: -9.031
LUMO energy in Ha: 0.0253
Frontier orbital gap in eV: 9.72
SMILES: NCCNCC(=O)O
F_max in Eh/bohr: 0.0685
E_tot in eV: -11384.2508
Total charge: 0

=====

No. 2
The following is a quantum chemistry calculation of C20H27F6N10O4S2Zn as an isolated structure at a distorted geometry, from the OMol25 dataset.

XYZ file:
```
70
Properties=species:S:1:pos:R:3:forces:R:3
Zn -18.808 3.160 -7.921 -1.0 -1.6 0.3
C -15.454 4.925 -9.996 -0.3 0.6 0.9
F -15.102 5.206 -8.674 0.0 -0.7 -2.9
F -14.825 5.742 -10.896 -0.7 -1.1 1.6
F -15.137 3.651 -10.279 -0.2 1.1 0.4
S -17.387 5.214 -10.206 -0.6 -4.5 -0.5
O -17.528 6.547 -10.646 0.0 1.0 0.0
O -17.876 4.150 -11.080 0.9 1.2 1.2
N -18.025 4.818 -8.602 2.3 3.2 -4.6
S -17.868 6.193 -7.843 0.8 2.5 5.5
O -17.938 5.810 -6.437 -0.6 0.6 -1.2
O -16.738 7.120 -8.100 -2.5 -1.5 -0.7
C -19.551 7.187 -8.124 0.5 0.2 -0.1
F -19.500 8.353 -7.394 0.0 -1.5 -1.5
F -19.702 7.427 -9.471 -0.1 0.2 1.9
F -20.624 6.500 -7.701 1.1 0.4 -0.4
C -13.500 5.630 -13.940 -1.7 -0.9 -0.7
C -14.971 6.024 -14.061 2.6 0.6 0.7
N -16.058 6.379 -14.031 -0.5 -0.1 -0.2
H -12.907 6.014 -13.110 -0.6 0.4 0.0
H -12.962 5.754 -14.880 -0.2 0.3 0.0
H -13.620 4.555 -13.807 0.5 -0.2 0.2
C -14.196 8.787 -9.649 -1.9 1.2 0.1
C -13.176 7.832 -9.493 1.7 -1.0 0.2
N -12.385 7.010 -9.354 0.0 0.1 -0.1
H -15.124 8.215 -9.657 -0.3 0.2 -0.2
H -14.139 9.424 -10.532 0.2 -0.4 -0.2
H -14.286 9.479 -8.811 0.3 -0.2 0.2
C -19.724 4.242 -13.569 -0.7 0.1 0.3
C -21.028 4.512 -12.922 4.4 -0.7 -2.3
N -22.013 4.682 -12.423 -3.7 0.7 1.6
H -19.860 4.161 -14.648 0.0 -0.1 0.1
H -19.373 3.297 -13.155 0.3 0.2 -0.1
H -19.026 5.053 -13.360 0.0 -0.2 0.1
C -14.891 1.760 -7.299 -0.5 0.2 1.2
C -16.134 2.389 -6.886 -4.2 2.4 1.2
N -17.150 2.903 -6.523 4.6 -2.4 -1.4
H -14.924 0.847 -6.705 0.5 -0.4 -0.4
H -14.141 2.414 -6.854 0.5 -0.2 -0.5
H -14.782 1.584 -8.370 -0.1 0.1 0.2
C -20.692 3.885 -3.555 0.3 -0.5 -1.1
C -20.229 3.724 -4.948 0.6 -0.6 -2.2
N -19.885 3.564 -6.051 -0.9 0.5 2.6
H -20.270 3.085 -2.947 0.3 0.2 0.0
H -21.765 3.692 -3.570 -0.1 0.7 0.2
H -20.360 4.879 -3.255 -0.5 -0.1 0.3
C -17.691 10.161 -10.223 -0.9 0.3 -0.4
........
The page goes on =
Unfortunately, I'd say yes. In my opinion the flags are flying high.
Although erectile dysfunction can happen to anyone, and is not always a red flag, who is he taking the Cialis for? Long absences at the gym, the extra showering, the body grooming, the giddy texting to gym 'pals'. I believe you are correct in finding his behaviour suspicious. It sounds like there's a secret life.
Do you have access to his phone? I'm going to guess no. And I'm not suggesting you should snoop. Only you can decide what you want to do here. Only you can decide what you want and what sort of treatment you will accept.
I expect others here will have some valuable insights or advice on this subject.
Posted by Ellexoh_nz July 27, 2024 9:54 pm | #3 |
Nantucket1931 wrote:
Anyways are these actually red flags ?
Posted by Norah July 28, 2024 12:40 am | #4 |
Nantucket, I understand your bewilderment wondering if these behaviors are red flags, as I did in the beginning of mine. Sudden changes like excessive showering, manscapring, obsession with certain friends, giddiness with texting, acting distant in your relationship, defensiveness with asking questions and blaming you for lack of sexual relations and need to watch porn that he abhors. Mine also had difficulty with maintaining erections, had secretively started watching porn, and started manscaping all his bodily hair except his scalp, obtained an Rx of Viagra. It’s like a playbook for the non straight spouse on the prowl.
Was he tested for a low blood level for testosterone to justify use? And how naive does he think you are, saying that Cialis is given for a pre-workout, unless the ‘work out’ is of sexual nature. Unless he is self diagnosing and taking these meds for off label use.
One way that I checked on phone usage was by checking the online phone bill, which opened my eyes and did not realize the scope of his secret life.
Yes, sudden behavior changes are suspicious.